Could you copy all of the block further below verbatim?

- - -
No. 1
# Se | the Alexandria database | PBE-GGA | optimized geometry
# Energy above the lowest structure with this stoichiometry (meV/atom): 375
# Symmetry: No. 141
data_Se
_cell_length_a 5.750
_cell_length_b 5.750
_cell_length_c 2.743
_cell_angle_alpha 90.00
_cell_angle_beta 90.00
_cell_angle_gamma 90.00
_symmetry_space_group_name_H-M 'P 1'
_symmetry_Int_Tables_number 1
loop_
_symmetry_equiv_pos_as_xyz
'x,y,z'
loop_
_atom_site_label
_atom_site_type_symbol
_atom_site_fract_x
_atom_site_fract_y
_atom_site_fract_z
_atom_site_occupancy
Se1 Se 0.000 0.250 0.375 1
Se2 Se 0.000 0.750 0.625 1
Se3 Se 0.500 0.250 0.125 1
Se4 Se 0.500 0.750 0.875 1



No. 2
# Se | the Alexandria database | PBE-GGA | optimized geometry
# Energy above the lowest structure with this stoichiometry (meV/atom): 27
# Symmetry: No. 19
data_Se
_cell_length_a 7.109
_cell_length_b 8.363
_cell_length_c 10.813
_cell_angle_alpha 90.00
_cell_angle_beta 90.00
_cell_angle_gamma 90.00
_symmetry_space_group_name_H-M 'P 1'
_symmetry_Int_Tables_number 1
loop_
_symmetry_equiv_pos_as_xyz
'x,y,z'
loop_
_atom_site_label
_atom_site_type_symbol
_atom_site_fract_x
_atom_site_fract_y
_atom_site_fract_z
_atom_site_occupancy
Se1 Se 0.055 0.045 0.041 1
Se2 Se 0.123 0.600 0.117 1
Se3 Se 0.222 0.860 0.167 1
Se4 Se 0.235 0.517 0.920 1
Se5 Se 0.265 0.483 0.420 1
Se6 Se 0.278 0.140 0.667 1
Se7 Se 0.377 0.400 0.617 1
Se8 Se 0.445 0.955 0.541 1
Se9 Se 0.555 0.455 0.959 1
Se10 Se 0.623 0.900 0.883 1
Se11 Se 0.722 0.640 0.833 1
Se12 Se 0.735 0.983 0.080 1
Se13 Se 0.765 0.017 0.580 1
Se14 Se 0.778 0.360 0.333 1
Se15 Se 0.877 0.100 0.383 1
Se16 Se 0.945 0.545 0.459 1



No. 3
# Se | the Alexandria database | PBE-GGA | optimized geometry
# Energy above the lowest structure with this stoichiometry (meV/atom): 617
# Symmetry: No. 229
data_Se
_cell_length_a 3.438
_cell_length_b 3.438
_cell_length_c 3.438
_cell_angle_alpha 90.00
_cell_angle_beta 90.00
_cell_angle_gamma 90.00
_symmetry_space_group_name_H-M 'P 1'
_symmetry_Int_Tables_number 1
loop_
_symmetry_equiv_pos_as_xyz
'x,y,z'
loop_
_atom_site_label
_atom_site_type_symbol
_atom_site_fract_x
_atom_site_fract_y
_atom_site_fract_z
_atom_site_occupancy
Se1 Se 0.000 0.000 0.000 1
Se2 Se 0.500 0.500 0.500 1



No. 4
# Se | the Alexandria database | PBE-GGA | optimized geometry
# Energy above the lowest structure with this stoichiometry (meV/atom): 24
# Symmetry: No. 154
data_Se
_cell_length_a 8.353
_cell_length_b 8.353
_cell_length_c 4.951
_cell_angle_alpha 90.00
_cell_angle_beta 90.00
_cell_angle_gamma 120.00
_symmetry_space_group_name_H-M 'P 1'
_symmetry_Int_Tables_number 1
loop_
_symmetry_equiv_pos_as_xyz
'x,y,z'
loop_
_atom_site_label
_atom_site_type_symbol
_atom_site_fract_x
_atom_site_fract_y
_atom_site_fract_z
_atom_site_occupancy
Se1 Se 0.000 0.881 0.333 1
Se2 Se 0.119 0.119 0.000 1
Se3 Se 0.225 0.542 0.578 1
Se4 Se 0.317 0.775 0.912 1
Se5 Se 0.458 0.683 0.245 1
Se6 Se 0.542 0.225 0.422 1
Se7 Se 0.683 0.458 0.755 1
Se8 Se 0.775 0.317 0.088 1
Se9 Se 0.881 0.000 0.667 1



No. 5
# Se | the Alexandria database | PBE-GGA | optimized geometry
# Energy above the lowest structure with this stoichiometry (meV/atom): 135
# Symmetry: No. 63
data_Se
_cell_length_a 2.750
_cell_length_b 8.879
_cell_length_c 4.766
_cell_angle_alpha 90.00
_cell_angle_beta 90.00
_cell_angle_gamma 90.00
_symmetry_space_group_name_H-M 'P 1'
_symmetry_Int_Tables_number 1
loop_
_symmetry_equiv_pos_as_xyz
'x,y,z'
loop_
_atom_site_label
_atom_site_type_symbol
_atom_site_fract_x
_atom_site_fract_y
_atom_site_fract_z
_atom_site_occupancy
Se1 Se 0.000 0.054 0.250 1
Se2 Se 0.000 0.946 0.750 1
Se3 Se 0.500 0.446 0.750 1
Se4 Se 0.500 0.554 0.250 1



No. 6
# Se | the Alexandria database | PBE-GGA | optimized geometry
# Energy above the lowest structure with this stoichiometry (meV/atom): 290
# Symmetry: No. 229
data_Se
_cell_length_a 8.717
_cell_length_b 8.717
_cell_length_c 8.717
_cell_angle_alpha 90.00
_cell_angle_beta 90.00
_cell_angle_gamma 90.00
_symmetry_space_group_name_H-M 'P 1'
- - -

No. 1
# Se | the Alexandria database | PBE-GGA | optimized geometry
# Energy above the lowest structure with this stoichiometry (meV/atom): 375
# Symmetry: No. 141
data_Se
_cell_length_a 5.750
_cell_length_b 5.750
_cell_length_c 2.743
_cell_angle_alpha 90.00
_cell_angle_beta 90.00
_cell_angle_gamma 90.00
_symmetry_space_group_name_H-M 'P 1'
_symmetry_Int_Tables_number 1
loop_
_symmetry_equiv_pos_as_xyz
'x,y,z'
loop_
_atom_site_label
_atom_site_type_symbol
_atom_site_fract_x
_atom_site_fract_y
_atom_site_fract_z
_atom_site_occupancy
Se1 Se 0.000 0.250 0.375 1
Se2 Se 0.000 0.750 0.625 1
Se3 Se 0.500 0.250 0.125 1
Se4 Se 0.500 0.750 0.875 1



No. 2
# Se | the Alexandria database | PBE-GGA | optimized geometry
# Energy above the lowest structure with this stoichiometry (meV/atom): 27
# Symmetry: No. 19
data_Se
_cell_length_a 7.109
_cell_length_b 8.363
_cell_length_c 10.813
_cell_angle_alpha 90.00
_cell_angle_beta 90.00
_cell_angle_gamma 90.00
_symmetry_space_group_name_H-M 'P 1'
_symmetry_Int_Tables_number 1
loop_
_symmetry_equiv_pos_as_xyz
'x,y,z'
loop_
_atom_site_label
_atom_site_type_symbol
_atom_site_fract_x
_atom_site_fract_y
_atom_site_fract_z
_atom_site_occupancy
Se1 Se 0.055 0.045 0.041 1
Se2 Se 0.123 0.600 0.117 1
Se3 Se 0.222 0.860 0.167 1
Se4 Se 0.235 0.517 0.920 1
Se5 Se 0.265 0.483 0.420 1
Se6 Se 0.278 0.140 0.667 1
Se7 Se 0.377 0.400 0.617 1
Se8 Se 0.445 0.955 0.541 1
Se9 Se 0.555 0.455 0.959 1
Se10 Se 0.623 0.900 0.883 1
Se11 Se 0.722 0.640 0.833 1
Se12 Se 0.735 0.983 0.080 1
Se13 Se 0.765 0.017 0.580 1
Se14 Se 0.778 0.360 0.333 1
Se15 Se 0.877 0.100 0.383 1
Se16 Se 0.945 0.545 0.459 1



No. 3
# Se | the Alexandria database | PBE-GGA | optimized geometry
# Energy above the lowest structure with this stoichiometry (meV/atom): 617
# Symmetry: No. 229
data_Se
_cell_length_a 3.438
_cell_length_b 3.438
_cell_length_c 3.438
_cell_angle_alpha 90.00
_cell_angle_beta 90.00
_cell_angle_gamma 90.00
_symmetry_space_group_name_H-M 'P 1'
_symmetry_Int_Tables_number 1
loop_
_symmetry_equiv_pos_as_xyz
'x,y,z'
loop_
_atom_site_label
_atom_site_type_symbol
_atom_site_fract_x
_atom_site_fract_y
_atom_site_fract_z
_atom_site_occupancy
Se1 Se 0.000 0.000 0.000 1
Se2 Se 0.500 0.500 0.500 1



No. 4
# Se | the Alexandria database | PBE-GGA | optimized geometry
# Energy above the lowest structure with this stoichiometry (meV/atom): 24
# Symmetry: No. 154
data_Se
_cell_length_a 8.353
_cell_length_b 8.353
_cell_length_c 4.951
_cell_angle_alpha 90.00
_cell_angle_beta 90.00
_cell_angle_gamma 120.00
_symmetry_space_group_name_H-M 'P 1'
_symmetry_Int_Tables_number 1
loop_
_symmetry_equiv_pos_as_xyz
'x,y,z'
loop_
_atom_site_label
_atom_site_type_symbol
_atom_site_fract_x
_atom_site_fract_y
_atom_site_fract_z
_atom_site_occupancy
Se1 Se 0.000 0.881 0.333 1
Se2 Se 0.119 0.119 0.000 1
Se3 Se 0.225 0.542 0.578 1
Se4 Se 0.317 0.775 0.912 1
Se5 Se 0.458 0.683 0.245 1
Se6 Se 0.542 0.225 0.422 1
Se7 Se 0.683 0.458 0.755 1
Se8 Se 0.775 0.317 0.088 1
Se9 Se 0.881 0.000 0.667 1



No. 5
# Se | the Alexandria database | PBE-GGA | optimized geometry
# Energy above the lowest structure with this stoichiometry (meV/atom): 135
# Symmetry: No. 63
data_Se
_cell_length_a 2.750
_cell_length_b 8.879
_cell_length_c 4.766
_cell_angle_alpha 90.00
_cell_angle_beta 90.00
_cell_angle_gamma 90.00
_symmetry_space_group_name_H-M 'P 1'
_symmetry_Int_Tables_number 1
loop_
_symmetry_equiv_pos_as_xyz
'x,y,z'
loop_
_atom_site_label
_atom_site_type_symbol
_atom_site_fract_x
_atom_site_fract_y
_atom_site_fract_z
_atom_site_occupancy
Se1 Se 0.000 0.054 0.250 1
Se2 Se 0.000 0.946 0.750 1
Se3 Se 0.500 0.446 0.750 1
Se4 Se 0.500 0.554 0.250 1



No. 6
# Se | the Alexandria database | PBE-GGA | optimized geometry
# Energy above the lowest structure with this stoichiometry (meV/atom): 290
# Symmetry: No. 229
data_Se
_cell_length_a 8.717
_cell_length_b 8.717
_cell_length_c 8.717
_cell_angle_alpha 90.00
_cell_angle_beta 90.00
_cell_angle_gamma 90.00
_symmetry_space_group_name_H-M 'P 1'